== Excerpt ==
+++
# 1
Ba10Si69 after structural relaxation. Source: the Materials Project, functional PBE.

Summary:
DFT formation energy in eV per atom: -0.03

a b c (Å): 10.340 10.362 31.174
angles (deg): 90.00 90.00 90.00
Space group Pmmm (No. 47)
Asymmetric unit:
Ba: 0.000 0.000 0.083 (multiplicity 2)
Ba: 0.000 0.000 0.250 (multiplicity 2)
Ba: 0.000 0.000 0.415 (multiplicity 2)
Ba: 0.000 0.500 0.333 (multiplicity 2)
Ba: 0.249 0.500 0.500 (multiplicity 2)
Ba: 0.250 0.500 0.166 (multiplicity 4)
Ba: 0.500 0.250 0.000 (multiplicity 2)
Ba: 0.500 0.253 0.333 (multiplicity 4)
Si: 0.000 0.247 0.500 (multiplicity 2)
Si: 0.000 0.248 0.166 (multiplicity 4)
Si: 0.000 0.377 0.102 (multiplicity 4)
Si: 0.000 0.378 0.231 (multiplicity 4)
Si: 0.000 0.380 0.436 (multiplicity 4)
Si: 0.121 0.197 0.000 (multiplicity 4)
Si: 0.123 0.193 0.333 (multiplicity 8)
Si: 0.184 0.316 0.062 (multiplicity 8)
Si: 0.188 0.313 0.271 (multiplicity 8)
Si: 0.188 0.314 0.396 (multiplicity 8)
Si: 0.196 0.119 0.500 (multiplicity 4)
Si: 0.197 0.119 0.167 (multiplicity 8)
Si: 0.250 0.000 0.000 (multiplicity 2)
Si: 0.253 0.000 0.334 (multiplicity 4)
Si: 0.304 0.500 0.041 (multiplicity 4)
Si: 0.307 0.500 0.293 (multiplicity 4)
Si: 0.307 0.500 0.374 (multiplicity 4)
Si: 0.316 0.184 0.105 (multiplicity 8)
Si: 0.318 0.182 0.228 (multiplicity 8)
Si: 0.318 0.182 0.439 (multiplicity 8)
Si: 0.377 0.000 0.065 (multiplicity 4)
Si: 0.379 0.000 0.399 (multiplicity 4)
Si: 0.380 0.000 0.268 (multiplicity 4)
Si: 0.500 0.304 0.126 (multiplicity 4)
Si: 0.500 0.305 0.207 (multiplicity 4)
Si: 0.500 0.306 0.460 (multiplicity 4)
Si: 0.500 0.500 0.083 (multiplicity 2)
Si: 0.500 0.500 0.249 (multiplicity 2)
Si: 0.500 0.500 0.419 (multiplicity 2)

***

# 2
BaSi after structural relaxation. Source: the Materials Project, functional PBE.

Summary:
DFT formation energy in eV per atom: 0.13

a b c (Å): 3.477 13.067 5.835
angles (deg): 90.00 90.00 90.00
Space group Cmcm (No. 63)
Asymmetric unit:
Ba: 0.000 0.123 0.250 (multiplicity 4)
Si: 0.000 0.387 0.250 (multiplicity 4)

***

# 3
BaSi23 after structural relaxation. Source: the Materials Project, functional PBE.

Summary:
DFT formation energy in eV per atom: 0.11

a b c (Å): 10.273 10.273 10.273
angles (deg): 90.00 90.00 90.00
Space group Pm-3n (No. 223)
Asymmetric unit:
Ba: 0.000 0.000 0.000 (multiplicity 2)
Si: 0.000 0.117 0.310 (multiplicity 24)
Si: 0.000 0.250 0.500 (multiplicity 6)
Si: 0.185 0.185 0.185 (multiplicity 16)

***

# 4
BaSi after structural relaxation. Source: the Materials Project, functional PBE.

Summary:
DFT formation energy in eV per atom: -0.39

a b c (Å): 5.061 12.121 4.158
angles (deg): 90.00 90.00 90.00
Space group Cmcm (No. 63)
Asymmetric unit:
Ba: 0.000 0.140 0.250 (multiplicity 4)
Si: 0.000 0.442 0.250 (multiplicity 4)

***

# 5
BaSiTc2 after structural relaxation. Source: the Materials Project, functional PBE.

Summary:
DFT formation energy in eV per atom: 1.00

a b c (Å): 6.785 6.785 6.785
angles (deg): 90.00 90.00 90.00
Space group F-43m (No. 216)
Asymmetric unit:
Ba: 0.000 0.000 0.000 (multiplicity 4)
Si: 0.250 0.250 0.250 (multiplicity 4)
Tc: 0.000 0.000 0.500 (multiplicity 4)
Tc: 0.250 0.250 0.750 (multiplicity 4)

***

# 6
BaZn2Si2 after structural relaxation. Source: the Materials Project, functional PBE.

Summary:
DFT formation energy in eV per atom: -0.27

a b c (Å): 4.515 4.515 10.274
angles (deg): 90.00 90.00 90.00
Space group I4/mmm (No. 139)
Asymmetric unit:
Ba: 0.000 0.000 0.000 (multiplicity 2)
Zn: 0.000 0.500 0.250 (multiplicity 4)
Si: 0.000 0.000 0.379 (multiplicity 4)

=====

Crystalline C at its relaxed geometry, computed with GGA-PBE.

## Properties
SG: P6/mmm, No. 191

Unit cell a=2.4680 b=2.4680 c=19.9983 alpha=90.00 beta=90.00 gamma=120.00
With the nearest neighbours (Å) after each atom.
Sites, in units of the cell vectors:
1 C 0.3333 0.6667 0.0000  3 C 1.42
2 C 0.6667 0.3333 0.0000  3 C 1.42



Crystalline C at its relaxed geometry, computed with GGA-PBE.

## Properties
SG: Cmmm, No. 65
+++

== Work order ==
Please type out the calculation results earlier on exactly.

== Written answer ==
# 1
Ba10Si69 after structural relaxation. Source: the Materials Project, functional PBE.

Summary:
DFT formation energy in eV per atom: -0.03

a b c (Å): 10.340 10.362 31.174
angles (deg): 90.00 90.00 90.00
Space group Pmmm (No. 47)
Asymmetric unit:
Ba: 0.000 0.000 0.083 (multiplicity 2)
Ba: 0.000 0.000 0.250 (multiplicity 2)
Ba: 0.000 0.000 0.415 (multiplicity 2)
Ba: 0.000 0.500 0.333 (multiplicity 2)
Ba: 0.249 0.500 0.500 (multiplicity 2)
Ba: 0.250 0.500 0.166 (multiplicity 4)
Ba: 0.500 0.250 0.000 (multiplicity 2)
Ba: 0.500 0.253 0.333 (multiplicity 4)
Si: 0.000 0.247 0.500 (multiplicity 2)
Si: 0.000 0.248 0.166 (multiplicity 4)
Si: 0.000 0.377 0.102 (multiplicity 4)
Si: 0.000 0.378 0.231 (multiplicity 4)
Si: 0.000 0.380 0.436 (multiplicity 4)
Si: 0.121 0.197 0.000 (multiplicity 4)
Si: 0.123 0.193 0.333 (multiplicity 8)
Si: 0.184 0.316 0.062 (multiplicity 8)
Si: 0.188 0.313 0.271 (multiplicity 8)
Si: 0.188 0.314 0.396 (multiplicity 8)
Si: 0.196 0.119 0.500 (multiplicity 4)
Si: 0.197 0.119 0.167 (multiplicity 8)
Si: 0.250 0.000 0.000 (multiplicity 2)
Si: 0.253 0.000 0.334 (multiplicity 4)
Si: 0.304 0.500 0.041 (multiplicity 4)
Si: 0.307 0.500 0.293 (multiplicity 4)
Si: 0.307 0.500 0.374 (multiplicity 4)
Si: 0.316 0.184 0.105 (multiplicity 8)
Si: 0.318 0.182 0.228 (multiplicity 8)
Si: 0.318 0.182 0.439 (multiplicity 8)
Si: 0.377 0.000 0.065 (multiplicity 4)
Si: 0.379 0.000 0.399 (multiplicity 4)
Si: 0.380 0.000 0.268 (multiplicity 4)
Si: 0.500 0.304 0.126 (multiplicity 4)
Si: 0.500 0.305 0.207 (multiplicity 4)
Si: 0.500 0.306 0.460 (multiplicity 4)
Si: 0.500 0.500 0.083 (multiplicity 2)
Si: 0.500 0.500 0.249 (multiplicity 2)
Si: 0.500 0.500 0.419 (multiplicity 2)

***

# 2
BaSi after structural relaxation. Source: the Materials Project, functional PBE.

Summary:
DFT formation energy in eV per atom: 0.13

a b c (Å): 3.477 13.067 5.835
angles (deg): 90.00 90.00 90.00
Space group Cmcm (No. 63)
Asymmetric unit:
Ba: 0.000 0.123 0.250 (multiplicity 4)
Si: 0.000 0.387 0.250 (multiplicity 4)

***

# 3
BaSi23 after structural relaxation. Source: the Materials Project, functional PBE.

Summary:
DFT formation energy in eV per atom: 0.11

a b c (Å): 10.273 10.273 10.273
angles (deg): 90.00 90.00 90.00
Space group Pm-3n (No. 223)
Asymmetric unit:
Ba: 0.000 0.000 0.000 (multiplicity 2)
Si: 0.000 0.117 0.310 (multiplicity 24)
Si: 0.000 0.250 0.500 (multiplicity 6)
Si: 0.185 0.185 0.185 (multiplicity 16)

***

# 4
BaSi after structural relaxation. Source: the Materials Project, functional PBE.

Summary:
DFT formation energy in eV per atom: -0.39

a b c (Å): 5.061 12.121 4.158
angles (deg): 90.00 90.00 90.00
Space group Cmcm (No. 63)
Asymmetric unit:
Ba: 0.000 0.140 0.250 (multiplicity 4)
Si: 0.000 0.442 0.250 (multiplicity 4)

***

# 5
BaSiTc2 after structural relaxation. Source: the Materials Project, functional PBE.

Summary:
DFT formation energy in eV per atom: 1.00

a b c (Å): 6.785 6.785 6.785
angles (deg): 90.00 90.00 90.00
Space group F-43m (No. 216)
Asymmetric unit:
Ba: 0.000 0.000 0.000 (multiplicity 4)
Si: 0.250 0.250 0.250 (multiplicity 4)
Tc: 0.000 0.000 0.500 (multiplicity 4)
Tc: 0.250 0.250 0.750 (multiplicity 4)

***

# 6
BaZn2Si2 after structural relaxation. Source: the Materials Project, functional PBE.

Summary:
DFT formation energy in eV per atom: -0.27

a b c (Å): 4.515 4.515 10.274
angles (deg): 90.00 90.00 90.00
Space group I4/mmm (No. 139)
Asymmetric unit:
Ba: 0.000 0.000 0.000 (multiplicity 2)
Zn: 0.000 0.500 0.250 (multiplicity 4)
Si: 0.000 0.000 0.379 (multiplicity 4)

=====

Crystalline C at its relaxed geometry, computed with GGA-PBE.

## Properties
SG: P6/mmm, No. 191

Unit cell a=2.4680 b=2.4680 c=19.9983 alpha=90.00 beta=90.00 gamma=120.00
With the nearest neighbours (Å) after each atom.
Sites, in units of the cell vectors:
1 C 0.3333 0.6667 0.0000  3 C 1.42
2 C 0.6667 0.3333 0.0000  3 C 1.42



Crystalline C at its relaxed geometry, computed with GGA-PBE.

## Properties
SG: Cmmm, No. 65